********
! meta-GGA SCAN CrCo3Ag, single point on PBEsol structure; values from VASP
&SYSTEM
  ibrav = 0, nat = 5, ntyp = 3
/
ATOMIC_SPECIES
Ag 107.87 Ag.upf
Cr 52.00 Cr.upf
Co 58.93 Co.upf
ATOMIC_POSITIONS crystal
Ag 0.500 0.500 0.500
Cr 0.000 0.000 0.000
Co 0.000 0.000 0.500
Co 0.000 0.500 0.000
Co 0.500 0.000 0.000
CELL_PARAMETERS angstrom
-2.129 3.389 0.911
-0.312 -1.245 3.899
3.496 1.953 0.903
! symmetry: Pm-3m
! crystal system: cubic
! uncorrected energy: -19.050 eV/atom
! energy of formation from the pure elements: 1.2834 eV/atom
! total magnetization: 2.4 μB per formula unit



! meta-GGA SCAN CsCo3Ag, single point on PBEsol structure; values from VASP
&SYSTEM
  ibrav = 0, nat = 5, ntyp = 3
/
ATOMIC_SPECIES
Co 58.93 Co.upf
Cs 132.91 Cs.upf
Ag 107.87 Ag.upf
ATOMIC_POSITIONS crystal
Co 0.500 0.000 0.000
Co 0.000 0.000 0.500
Cs 0.000 0.000 0.000
Co 0.000 0.500 0.000
Ag 0.500 0.500 0.500
CELL_PARAMETERS angstrom
4.553 0.000 0.000
0.000 4.553 0.000
0.000 0.000 4.553
! symmetry: Pm-3m
! crystal system: cubic
! uncorrected energy: -21.653 eV/atom
! energy of formation from the pure elements: 2.5649 eV/atom
! total magnetization: 3.0 μB per formula unit



! meta-GGA SCAN CoCuAg2, single point on PBEsol structure; values from VASP
&SYSTEM
  ibrav = 0, nat = 4, ntyp = 3
/
ATOMIC_SPECIES
Ag 107.87 Ag.upf
Cu 63.55 Cu.upf
Co 58.93 Co.upf
ATOMIC_POSITIONS crystal
Ag 0.000 0.000 0.751
Cu 0.500 0.500 0.500
Co 0.500 0.500 0.000
Ag 0.000 0.000 0.249
CELL_PARAMETERS angstrom
-2.004 -1.699 -0.534
2.066 -1.584 -2.715
2.050 -3.562 3.637
! excess energy over the best structure of this formula in the dataset: 0.052 eV per atom
! symmetry: Pmmm
! crystal system: orthorhombic
! uncorrected energy: -23.468 eV/atom
! energy of formation from the pure elements: 0.3411 eV/atom
! total magnetization: 1.9 μB per formula unit



! meta-GGA SCAN CoCu2Ag, single point on PBEsol structure; values from VASP
&SYSTEM
  ibrav = 0, nat = 4, ntyp = 3
/
ATOMIC_SPECIES
Co 58.93 Co.upf
Ag 107.87 Ag.upf
Cu 63.55 Cu.upf
ATOMIC_POSITIONS crystal
Co 0.000 0.500 0.500
Ag 0.500 0.500 0.000
Cu 0.500 0.000 0.500
Cu 0.000 0.000 0.000
CELL_PARAMETERS angstrom
-1.548 -0.078 -2.182
-3.010 -2.178 2.213
-1.857 3.766 1.182
! excess energy over the best structure of this formula in the dataset: 0.098 eV per atom
! symmetry: Pmmm
! crystal system: orthorhombic
! uncorrected energy: -19.446 eV/atom
! energy of formation from the pure elements: 0.3211 eV/atom
! total magnetization: 1.9 μB per formula unit



! meta-GGA SCAN CoCu2Ag, single point on PBEsol structure; values from VASP
&SYSTEM
  ibrav = 0, nat = 4, ntyp = 3
/
ATOMIC_SPECIES
Cu 63.55 Cu.upf
Ag 107.87 Ag.upf
Co 58.93 Co.upf
ATOMIC_POSITIONS crystal
Cu 0.001 0.002 0.005
Ag 0.499 0.999 0.501
Cu 0.255 0.510 0.762
Co 0.745 0.489 0.232
CELL_PARAMETERS angstrom
-2.104 1.449 0.383
0.299 -2.796 3.509
2.618 3.398 1.522
! excess energy over the best structure of this formula in the dataset: 0.000 eV per atom
! symmetry: Cm
! crystal system: monoclinic
! uncorrected energy: -19.544 eV/atom
! energy of formation from the pure elements: 0.2234 eV/atom
! total magnetization: 1.8 μB per formula unit



! meta-GGA SCAN CoCu2Ag, single point on PBEsol structure; values from VASP
&SYSTEM
  ibrav = 0, nat = 4, ntyp = 3
/
ATOMIC_SPECIES
Cu 63.55 Cu.upf
Co 58.93 Co.upf
Ag 107.87 Ag.upf
ATOMIC_POSITIONS crystal
Cu 0.000 0.000 0.001
Co 0.255 0.255 0.234
Cu 0.745 0.745 0.766
Ag 0.500 0.500 0.500
CELL_PARAMETERS angstrom
2.616 0.000 0.000
1.308 2.266 0.000
1.308 0.755 8.472
! excess energy over the best structure of this formula in the dataset: 0.008 eV per atom
! symmetry: R3m
! crystal system: trigonal
! uncorrected energy: -19.536 eV/atom
! energy of formation from the pure elements: 0.2313 eV/atom
! total magnetization: 1.9 μB per formula unit



! meta-GGA SCAN CoCuAg2, single point on PBEsol structure; values from VASP
&SYSTEM
  ibrav = 0, nat = 4, ntyp = 3
/
ATOMIC_SPECIES
Ag 107.87 Ag.upf
Cu 63.55 Cu.upf
Co 58.93 Co.upf
********

Now return all of the calculation results further above exactly.

! meta-GGA SCAN CrCo3Ag, single point on PBEsol structure; values from VASP
&SYSTEM
  ibrav = 0, nat = 5, ntyp = 3
/
ATOMIC_SPECIES
Ag 107.87 Ag.upf
Cr 52.00 Cr.upf
Co 58.93 Co.upf
ATOMIC_POSITIONS crystal
Ag 0.500 0.500 0.500
Cr 0.000 0.000 0.000
Co 0.000 0.000 0.500
Co 0.000 0.500 0.000
Co 0.500 0.000 0.000
CELL_PARAMETERS angstrom
-2.129 3.389 0.911
-0.312 -1.245 3.899
3.496 1.953 0.903
! symmetry: Pm-3m
! crystal system: cubic
! uncorrected energy: -19.050 eV/atom
! energy of formation from the pure elements: 1.2834 eV/atom
! total magnetization: 2.4 μB per formula unit



! meta-GGA SCAN CsCo3Ag, single point on PBEsol structure; values from VASP
&SYSTEM
  ibrav = 0, nat = 5, ntyp = 3
/
ATOMIC_SPECIES
Co 58.93 Co.upf
Cs 132.91 Cs.upf
Ag 107.87 Ag.upf
ATOMIC_POSITIONS crystal
Co 0.500 0.000 0.000
Co 0.000 0.000 0.500
Cs 0.000 0.000 0.000
Co 0.000 0.500 0.000
Ag 0.500 0.500 0.500
CELL_PARAMETERS angstrom
4.553 0.000 0.000
0.000 4.553 0.000
0.000 0.000 4.553
! symmetry: Pm-3m
! crystal system: cubic
! uncorrected energy: -21.653 eV/atom
! energy of formation from the pure elements: 2.5649 eV/atom
! total magnetization: 3.0 μB per formula unit



! meta-GGA SCAN CoCuAg2, single point on PBEsol structure; values from VASP
&SYSTEM
  ibrav = 0, nat = 4, ntyp = 3
/
ATOMIC_SPECIES
Ag 107.87 Ag.upf
Cu 63.55 Cu.upf
Co 58.93 Co.upf
ATOMIC_POSITIONS crystal
Ag 0.000 0.000 0.751
Cu 0.500 0.500 0.500
Co 0.500 0.500 0.000
Ag 0.000 0.000 0.249
CELL_PARAMETERS angstrom
-2.004 -1.699 -0.534
2.066 -1.584 -2.715
2.050 -3.562 3.637
! excess energy over the best structure of this formula in the dataset: 0.052 eV per atom
! symmetry: Pmmm
! crystal system: orthorhombic
! uncorrected energy: -23.468 eV/atom
! energy of formation from the pure elements: 0.3411 eV/atom
! total magnetization: 1.9 μB per formula unit



! meta-GGA SCAN CoCu2Ag, single point on PBEsol structure; values from VASP
&SYSTEM
  ibrav = 0, nat = 4, ntyp = 3
/
ATOMIC_SPECIES
Co 58.93 Co.upf
Ag 107.87 Ag.upf
Cu 63.55 Cu.upf
ATOMIC_POSITIONS crystal
Co 0.000 0.500 0.500
Ag 0.500 0.500 0.000
Cu 0.500 0.000 0.500
Cu 0.000 0.000 0.000
CELL_PARAMETERS angstrom
-1.548 -0.078 -2.182
-3.010 -2.178 2.213
-1.857 3.766 1.182
! excess energy over the best structure of this formula in the dataset: 0.098 eV per atom
! symmetry: Pmmm
! crystal system: orthorhombic
! uncorrected energy: -19.446 eV/atom
! energy of formation from the pure elements: 0.3211 eV/atom
! total magnetization: 1.9 μB per formula unit



! meta-GGA SCAN CoCu2Ag, single point on PBEsol structure; values from VASP
&SYSTEM
  ibrav = 0, nat = 4, ntyp = 3
/
ATOMIC_SPECIES
Cu 63.55 Cu.upf
Ag 107.87 Ag.upf
Co 58.93 Co.upf
ATOMIC_POSITIONS crystal
Cu 0.001 0.002 0.005
Ag 0.499 0.999 0.501
Cu 0.255 0.510 0.762
Co 0.745 0.489 0.232
CELL_PARAMETERS angstrom
-2.104 1.449 0.383
0.299 -2.796 3.509
2.618 3.398 1.522
! excess energy over the best structure of this formula in the dataset: 0.000 eV per atom
! symmetry: Cm
! crystal system: monoclinic
! uncorrected energy: -19.544 eV/atom
! energy of formation from the pure elements: 0.2234 eV/atom
! total magnetization: 1.8 μB per formula unit



! meta-GGA SCAN CoCu2Ag, single point on PBEsol structure; values from VASP
&SYSTEM
  ibrav = 0, nat = 4, ntyp = 3
/
ATOMIC_SPECIES
Cu 63.55 Cu.upf
Co 58.93 Co.upf
Ag 107.87 Ag.upf
ATOMIC_POSITIONS crystal
Cu 0.000 0.000 0.001
Co 0.255 0.255 0.234
Cu 0.745 0.745 0.766
Ag 0.500 0.500 0.500
CELL_PARAMETERS angstrom
2.616 0.000 0.000
1.308 2.266 0.000
1.308 0.755 8.472
! excess energy over the best structure of this formula in the dataset: 0.008 eV per atom
! symmetry: R3m
! crystal system: trigonal
! uncorrected energy: -19.536 eV/atom
! energy of formation from the pure elements: 0.2313 eV/atom
! total magnetization: 1.9 μB per formula unit



! meta-GGA SCAN CoCuAg2, single point on PBEsol structure; values from VASP
&SYSTEM
  ibrav = 0, nat = 4, ntyp = 3
/
ATOMIC_SPECIES
Ag 107.87 Ag.upf
Cu 63.55 Cu.upf
Co 58.93 Co.upf